This is a period for you to get to know us and for us to get to know you, through regular meetings with the vocation team. When both parties agree, interviews will be arranged to determine if the candidate will be accepted into Postulancy.
The Aspirancy period is usually one to two years.
The postulancy programme lasts about a year, and is an opportunity for you to deepen your maturity and Christian commitment in various ways. Perhaps one of the newest and most demanding experiences of the postulancy is a real introduction to community life and a growth in the capacity to live in a Christian community of men. As a postulant, you will take part in the activities of the community, and undertake studies in order to become more aware of what is happening in the Church and the world. There are also opportunities for you to be involved in new and challenging ministries.
At the end of the programme, you may return home to consider if you would like to continue in formation. If you decide to continue, you would then apply for acceptance into Novitiate.
Novitiate marks the formal beginning of your life as a Franciscan religious. You will be given the Franciscan habit and taught the life and Rule of St Francis. You will also study the religious vows of obedience, poverty and chastity. As this is meant to be a fairly quiet year of more intensive prayer and reflection, visits to family are kept to a minimum.
== Materials data that have nothing to do with the article ==
'''
# Ho5Re2O12

Ho5Re2O12 at its PBEsol-relaxed geometry (SCAN, the Alexandria database).

Output
The size of the total moment is 0.98 μB per formula unit. The formation energy (no corrections) comes out at -3193 meV/atom.

a = 6.740 Å, b = 6.740 Å, c = 7.428 Å
α = 106.26°, β = 106.26°, γ = 48.89°
Positions (direct):
Ho: 0.000 0.000 0.000
Ho: 0.303 0.303 0.141
Ho: 0.314 0.314 0.675
Ho: 0.686 0.686 0.325
Ho: 0.697 0.697 0.859
Re: 0.216 0.784 0.500
Re: 0.784 0.216 0.500
O: 0.001 0.001 0.293
O: 0.087 0.580 0.415
O: 0.098 0.594 0.927
O: 0.406 0.902 0.073
O: 0.420 0.913 0.585
O: 0.499 0.499 0.321
O: 0.501 0.501 0.679
O: 0.580 0.087 0.415
O: 0.594 0.098 0.927
O: 0.902 0.406 0.073
O: 0.913 0.420 0.585
O: 0.999 0.999 0.707


[1]
Crystalline KErSn at its relaxed geometry, computed with PBE.

Cell: 5.3370 5.3370 8.1968 Å, 90.00 90.00 90.00°
Fractional positions:
K: 0.0000 0.5000 0.8684
K: 0.5000 0.0000 0.1316
Sn: 0.0000 0.5000 0.3119
Sn: 0.5000 0.0000 0.6881
Er: 0.5000 0.5000 0.5000
Er: 0.0000 0.0000 0.5000

Values from the calculation:
The calculation puts the calculated formation energy at -1.1 eV per formula unit. The space group is P4/nmm (129).

[2]
Crystalline KEr2Sn3Te6 at its relaxed geometry, computed with PBE.

Cell: 4.3899 9.6338 10.0409 Å, 100.58 102.63 90.00°
Fractional positions:
K: 0.5000 0.0000 0.0000
Er: 0.8294 0.6655 0.6588
Er: 0.1706 0.3345 0.3412
Sn: 0.5000 0.5000 0.0000
Sn: 0.8396 0.1701 0.6793
Sn: 0.1604 0.8299 0.3207
Te: 0.3180 0.8863 0.6360
Te: 0.6673 0.5651 0.3347
Te: 0.6820 0.1137 0.3640
Te: 0.0149 0.2751 0.0297
Te: 0.9851 0.7249 0.9703
Te: 0.3327 0.4349 0.6653

Values from the calculation:
As for the formation energy from raw total energies: -723.5 meV per atom. Its density of states at the Fermi level is 0.33 states/eV/atom. The space group is C2/m (12).

[3]
Crystalline K4Er3SnTe8 at its relaxed geometry, computed with PBE.

Cell: 8.9710 9.7308 8.9717 Å, 117.49 120.00 90.00°
Fractional positions:
K: 0.5000 0.0000 0.0000
K: 0.5000 0.0000 0.5000
K: 0.0000 0.0000 0.0000
K: 0.0000 0.0000 0.5000
Er: 0.5000 0.5000 0.0000
Er: 0.5000 0.5000 0.5000
Er: 0.0000 0.5000 0.5000
Sn: 0.0000 0.5000 0.0000
Te: 0.2361 0.7046 0.9690
Te: 0.2360 0.7046 0.4720
Te: 0.2641 0.2926 0.5281
Te: 0.7329 0.7046 0.9690
Te: 0.2671 0.2954 0.0310
Te: 0.7359 0.7074 0.4719
Te: 0.7640 0.2954 0.5280
Te: 0.7639 0.2954 0.0310

Values from the calculation:
As for the formation energy from raw total energies: -1168.7 meV per atom. Its density of states at the Fermi level is 0.11 states/eV/atom. The space group is C2/m (12).

[4]
Crystalline K3Er3SnTe8 at its relaxed geometry, computed with PBE.

Cell: 8.7691 8.7838 9.8624 Å, 116.52 89.99 119.96°
Fractional positions:
K: 0.0000 0.0000 0.0000
K: 0.0000 0.5000 0.0000
K: 0.5000 0.5000 0.0000
Er: 0.5000 0.0000 0.5000
Er: 0.5000 0.5000 0.5000
Er: 0.0000 0.5000 0.5000
Sn: 0.0000 0.0000 0.5000
Te: 0.2644 0.5287 0.2930
Te: 0.7356 0.4713 0.7070
Te: 0.7666 0.5332 0.2966
Te: 0.2334 0.4668 0.7034
Te: 0.7668 0.0299 0.2968
'''
The experiences of this special year will help you and those in charge of your formation to discern if you are called to and ready for the next phase, Simple Vows.
The profession of Simple Vows usually takes place at the end of Novitiate. As a professed friar, you will live the Franciscan way of life through the vows of poverty, chastity and obedience for a period of three years or more. These vows are renewed periodically.
**Inserted here: crystal structures**
=====
! TlCu2AgCl8 | the Alexandria database | GGA-PBE | relaxed; values from VASP
&SYSTEM
  ibrav = 0, nat = 12, ntyp = 4
/
ATOMIC_SPECIES
Tl 204.38 Tl.upf
Cu 63.55 Cu.upf
Ag 107.87 Ag.upf
Cl 35.45 Cl.upf
CELL_PARAMETERS angstrom
-4.161 4.161 4.329
4.161 -4.161 4.329
4.161 4.161 -4.329
ATOMIC_POSITIONS crystal
Tl 0.000 0.000 0.000
Cu 0.250 0.750 0.500
Cu 0.500 0.500 0.000
Ag 0.750 0.250 0.500
Cl 0.066 0.375 0.309
Cl 0.066 0.757 0.691
Cl 0.122 0.315 0.807
Cl 0.243 0.934 0.309
Cl 0.508 0.315 0.193
Cl 0.625 0.934 0.691
Cl 0.685 0.492 0.807
Cl 0.685 0.878 0.193
! **Space group**: I-4m2, No. 119
! **Theoretical density**: 4.00 g cm⁻³
! **Formation energy without anion corrections**: -0.438 eV/atom

---

! BiP3Pt | the Alexandria database | GGA-PBE | relaxed; values from VASP
&SYSTEM
  ibrav = 0, nat = 5, ntyp = 3
/
ATOMIC_SPECIES
Bi 208.98 Bi.upf
P 30.97 P.upf
Pt 195.08 Pt.upf
CELL_PARAMETERS angstrom
4.758 0.000 0.000
0.000 4.758 0.000
0.000 0.000 4.758
ATOMIC_POSITIONS crystal
Bi 0.000 0.000 0.000
P 0.000 0.500 0.500
P 0.500 0.000 0.500
P 0.500 0.500 0.000
Pt 0.500 0.500 0.500
! **Space group**: Pm-3m, No. 221
! **Energy of formation**: 599 meV per atom
! **Theoretical density**: 7.66 g cm⁻³
! **Relative energy among the computed polymorphs**: 0.000 eV/atom
=====
All friars in Simple Vows are trained in Franciscan spirituality. Friars who feel called to the priesthood attend classes at the seminary, for approximately six years, in philosophical, biblical, theological and practical studies. Friars who do not seek ordination as priests engaged in various forms of ministry according to their gifts and talents, the needs of the people and the directives of the leaders of the Order. For such friars, professional training will be provided to help them engage in the Church and the world of our present time. In today’s society, the possibilities for ministry are endless and exciting. What is important is that all friars – ordained or otherwise – are brothers with equal dignity and responsibility.
After years of prayerful discernment on your part, the part of the community and those in charge of your formation, full membership is attained by means of taking solemn vows of poverty, chastity and obedience in the Franciscan way of life. After Solemn Profession, friars seeking ministerial priesthood prepare for the Sacrament of Ordination to Diaconate followed by Priesthood. Friars who seek to remain as lay brothers engage themselves in ministries for which they are gifted and trained to serve the Church and the world.